Influence of the work parameters on the microhardness of the cold plastic deformed surfaces.
Sarbu, Ionel ; Carausu, Constantin ; Paraschiv, Dragos 等
The experimental trials have been done at SC Rulmenji SA Barlad
pursuing the influence of the technological elements (the force of
deformation, the deformation feed and piece's speed of rotation) on
the microhardness of the bearing races of rings on the cold plastic
deformed bearings (Wagoner, 2001). The measurements of the microhardness
have been done following the diagram in fig. 1 (Pruteanu et al., 2006).
2.1. Material and semi-manufactured
We used the special material for the manufacturing of the bearings
rings, 100Cr6 and the ring shape forged and hot rolled
2.2. Measurement machines and devices
For the plastic deformation of the bearing races of the bearing
rings we have used special machines type CRF-120 OR for the ring 6210-10
(external ring) and type CRF-70 IR for the ring 6210-20 (interior ring).
For the measurement of the micro hardness we have used the device Akashi
MVK-D (Pruteanu et al., 2007).
For the deduction of the empirical relations and the representation
of the working parameters' influences we have used the following
functions: F1(x) = a.x + b; F2(x) = a.eb.x; F3(x) = a + b.ln.x; F4(x) =
a = b/x; F5(x) = a + b.x + c.x2.
We deducted the coefficient of correlation R, the estimated error,
we applied the test F of significance and through comparison we
What comes next are calculated crystals, not part of the piece:
/*
(1)
# MnPOsRuSeS | the Alexandria database | PBE | relaxed
data_MnPOsRuSeS
_chemical_formula_sum 'Mn1 P1 Os1 Ru1 Se1 S1'
_cell_length_a 4.044
_cell_length_b 4.512
_cell_length_c 5.448
_cell_angle_alpha 111.25
_cell_angle_beta 101.56
_cell_angle_gamma 102.35
_symmetry_space_group_name_H-M 'P 1'
_symmetry_Int_Tables_number 1
loop_
_symmetry_equiv_pos_as_xyz
'x,y,z'
loop_
_atom_site_label
_atom_site_type_symbol
_atom_site_fract_x
_atom_site_fract_y
_atom_site_fract_z
_atom_site_occupancy
Mn1 Mn 0.000 0.000 0.000 1
P1 P 0.998 0.570 0.148 1
Os1 Os 0.558 0.611 0.430 1
Ru1 Ru 0.373 0.474 0.863 1
Se1 Se 0.867 0.170 0.434 1
S1 S 0.463 0.977 0.811 1
# - Energy: -43.158 eV for the cell shown
# - Energy relative to the lowest polymorph listed for this composition: 0.87 eV/f.u.
# - N(E_F): 2.43 states/eV/cell
# - Magnetic moment: 0.0 μB per formula unit


(2)
# MnPOsRuSeS | the Alexandria database | PBE | relaxed
data_MnPOsRuSeS
_chemical_formula_sum 'Mn1 P1 Os1 Ru1 Se1 S1'
_cell_length_a 3.073
_cell_length_b 5.714
_cell_length_c 6.004
_cell_angle_alpha 64.62
_cell_angle_beta 85.16
_cell_angle_gamma 80.47
_symmetry_space_group_name_H-M 'P 1'
_symmetry_Int_Tables_number 1
loop_
_symmetry_equiv_pos_as_xyz
'x,y,z'
loop_
_atom_site_label
_atom_site_type_symbol
_atom_site_fract_x
_atom_site_fract_y
_atom_site_fract_z
_atom_site_occupancy
Mn1 Mn 0.000 0.000 0.000 1
P1 P 0.412 0.260 0.089 1
Os1 Os 0.546 0.479 0.678 1
Ru1 Ru 0.850 0.254 0.369 1
Se1 Se 0.952 0.813 0.694 1
S1 S 0.587 0.700 0.241 1
# - Energy: -43.458 eV for the cell shown
# - Energy relative to the lowest polymorph listed for this composition: 0.57 eV/f.u.
# - N(E_F): 2.89 states/eV/cell
# - Magnetic moment: 1.6 μB per formula unit


(3)
# MnPOsRuSeS | the Alexandria database | PBE | relaxed
data_MnPOsRuSeS
_chemical_formula_sum 'Mn2 P2 Os2 Ru2 Se2 S2'
_cell_length_a 12.140
_cell_length_b 3.421
_cell_length_c 5.426
_cell_angle_alpha 90.00
_cell_angle_beta 115.86
_cell_angle_gamma 90.00
_symmetry_space_group_name_H-M 'C 1 m 1'
_symmetry_Int_Tables_number 8
loop_
_symmetry_equiv_pos_as_xyz
'x,y,z'
'x,-y,z'
'x+1/2,y+1/2,z'
'x+1/2,-y+1/2,z'
loop_
_atom_site_label
_atom_site_type_symbol
_atom_site_fract_x
_atom_site_fract_y
_atom_site_fract_z
_atom_site_occupancy
Mn1 Mn 0.000 0.000 0.000 1
P1 P 0.295 0.500 0.823 1
Os1 Os 0.120 0.500 0.397 1
Ru1 Ru 0.373 0.000 0.141 1
Se1 Se 0.003 0.000 0.553 1
S1 S 0.201 0.000 0.235 1
# - Energy: -88.047 eV for the cell shown
# - Energy relative to the lowest polymorph listed for this composition: 0.00 eV/f.u.
# - N(E_F): 8.44 states/eV/cell
# - Magnetic moment: 2.1 μB per formula unit


(4)
# MnP2OsS | the Alexandria database | PBE | relaxed
data_MnP2OsS
_chemical_formula_sum 'Mn1 P2 Os1 S1'
_cell_length_a 4.430
_cell_length_b 4.430
_cell_length_c 5.344
_cell_angle_alpha 90.00
_cell_angle_beta 90.00
_cell_angle_gamma 90.00
_symmetry_space_group_name_H-M 'P 4/m m m'
_symmetry_Int_Tables_number 123
_symmetry_space_group_name_Hall '-P 4 2'
loop_
_atom_site_label
*/
End of the calculated crystals:
established the most suitable model for the data in the experiment.
After the cold plastic deformation we have done the measurements of
micro hardness HV0.5, depending on the working parameters, mentioned in
table 1 for the external ring 6210-10. Each time we varied one of the
parameters deformation force, F, deformation feed A and rotation speed
of the piece V and we maintained constant the other two.
For exemplification we present the diagram of the empirical
modules, the tables with the estimated parameters and the relations of
the functions which describe best the variation of the micro-hardness
(values of the relations "bold" in table 1), are presented in
figures 2, 3 and 4. One can notice that for the external ring the
micro-hardness of the bearing races for all the working parameters vary
depending on the linear function and very closely on the exponential
In table 2 we present the values of the micro-hardness of the
bearing race for the internal ring 6210-20, as well as the empirical
relations of the functions.
To exemplify we present the diagram of empirical models, tables
with estimated parameters and the relations of the functions which
describe best the variation of micro-hardness (values of the relations
"bold" in table 1), are presented in figures 5 and6.
One can notice that in the case of internal ring the microhardness
of the bearing races for all the working parameters vary depending on
the inverted function.
When processing through cold plastic deformation through rolling of
the bearing rings they get superficially hardened.
The experimental research regarding the variation of microhardness
with the depth of the hardened layer when modifying the values of the
work parameters show that:
--in the case of the external ring the micro-hardness vary
-- Crystal structures, as found in the file --
<<<
## Mg3MnO4 (GGA+U)

Data for a relaxed structure of Mg3MnO4.

The space group is I4/mmm (No. 139) and the conventional cell measures 4.329, 4.329 and 8.662 Å, with angles of 90.00, 90.00 and 90.00 degrees. Symmetry generates all atoms from Mg at (0.000, 0.000, 0.000), Mg at (0.000, 0.500, 0.250), Mn at (0.000, 0.000, 0.500), O at (0.000, 0.000, 0.241) and O at (0.000, 0.500, 0.000).

Its total magnetization is 5.0 μB per formula unit. Its volume is 10.14 Å³ per atom. For the uncorrected energy, the calculation gives -6.427 eV per atom.

~~~~~

Entry a
MoW2Cl | PBE | relaxed

Geometry as CIF:
```
data_MoW2Cl
_chemical_formula_sum 'Mo1 W2 Cl1'
_symmetry_space_group_name_H-M 'P 1'
_symmetry_Int_Tables_number 1
_symmetry_space_group_name_Hall 'P 1'
_cell_length_a 8.7696
_cell_length_b 8.7696
_cell_length_c 8.7696
_cell_angle_alpha 19.39
_cell_angle_beta 19.39
_cell_angle_gamma 19.39
loop_
_atom_site_label
_atom_site_fract_x
_atom_site_fract_y
_atom_site_fract_z
Mo1 0.0000 0.0000 0.0000
W1 0.2508 0.2508 0.2508
W2 0.7492 0.7492 0.7492
Cl1 0.5000 0.5000 0.5000
```

Computed properties:
- DOS(E_F): 4.0 states/eV per cell


Entry b
MoW2Cl | PBE | relaxed

Geometry as CIF:
```
data_MoW2Cl
_chemical_formula_sum 'Mo1 W2 Cl1'
_symmetry_space_group_name_H-M 'P 1'
_symmetry_Int_Tables_number 1
_symmetry_space_group_name_Hall 'P 1'
_cell_length_a 2.8379
_cell_length_b 2.8379
_cell_length_c 8.8096
_cell_angle_alpha 90.00
_cell_angle_beta 90.00
_cell_angle_gamma 112.01
loop_
_atom_site_label
_atom_site_fract_x
_atom_site_fract_y
_atom_site_fract_z
Mo1 0.0000 0.0000 0.0000
W1 0.0000 0.0000 0.4880
W2 0.5000 0.5000 0.2443
Cl1 0.5000 0.5000 0.7496
```

Computed properties:
- DOS(E_F): 3.1 states/eV per cell


Entry c
MoW2Cl | PBE | relaxed

Geometry as CIF:
```
data_MoW2Cl
_chemical_formula_sum 'Mo1 W2 Cl1'
_symmetry_space_group_name_H-M 'P 1'
_symmetry_Int_Tables_number 1
_symmetry_space_group_name_Hall 'P 1'
_cell_length_a 3.7180
_cell_length_b 3.7180
_cell_length_c 4.7672
_cell_angle_alpha 90.00
_cell_angle_beta 90.00
_cell_angle_gamma 90.00
loop_
_atom_site_label
_atom_site_fract_x
_atom_site_fract_y
_atom_site_fract_z
Mo1 0.0000 0.0000 0.0000
W1 0.0000 0.5000 0.5000
W2 0.5000 0.0000 0.5000
Cl1 0.5000 0.5000 0.0000
```

Computed properties:
- DOS(E_F): 4.5 states/eV per cell


Entry d
MoW2Cl | PBE | relaxed

Geometry as CIF:
```
data_MoW2Cl
_chemical_formula_sum 'Mo1 W2 Cl1'
_symmetry_space_group_name_H-M 'P 1'
_symmetry_Int_Tables_number 1
_symmetry_space_group_name_Hall 'P 1'
_cell_length_a 4.5052
_cell_length_b 4.5052
_cell_length_c 4.5052
_cell_angle_alpha 60.00
_cell_angle_beta 60.00
_cell_angle_gamma 60.00
loop_
_atom_site_label
_atom_site_fract_x
_atom_site_fract_y
_atom_site_fract_z
Mo1 0.0000 0.0000 0.0000
W1 0.2500 0.2500 0.2500
W2 0.7500 0.7500 0.7500
Cl1 0.5000 0.5000 0.5000
```

Computed properties:
- DOS(E_F): 7.5 states/eV per cell


Most stable: entry b. Least stable: entry c.


Entry a
MoW2Cl | PBE | relaxed

Geometry as CIF:
```
data_MoW2Cl
>>>
depending on a linear function, very closely being the exponential one.
--in the case of the internal ring the micro-hardness varies
depending on the inverted function.
Pruteanu ,O.V., Carausu, C. Paraschiv, Sarbu, I., (2006). The
influence of the working parameters on the parameters of the superficial
layer when procesing the steels through grinding in the rolling's
technology. [TEXT NOT REPRODUCIBLE IN ASCII], Minsk, Belarus, may,
Pruteanu, O.V., Paraschiv, Carausu, C., Sarbu, I., Bunea, M.,
Bardac, D. (2007). Processing through plastic deformation of the bearing
rings. MicroCAD 2007, International Scientific Conference, Miskolc,
Pruteanu, O.V., Paraschiv, Pricope, Bunea, C.M., Sarbu, I.,
Carausu, C. (2007). Considerations Regarding the 100Cr6 Material's
Conduct through the cold Rolling of the Bearing Rings, International
Journal for Manufacturing Science & Technology, U.S. Library of
Congress, vol. 9, no.1, p.51-57, ISSN 1524-1548.
Pruteanu, O.V., Paraschiv, Carausu, C., Sarbu, I., Bunea, M.,
Bardac, D. (2007). Processing through plastic deformation of the bearing
rings. MicroCAD 2007, International Scientific Conference, Miskolc,
Wagoner, R.H., Chenot, J.L. (2001). Metal forming analysis.
Cambridge University Press. New York.
Tab. 1. Micro-hardness of the 6210-10 external ring's bearing races
Micro hardness [HV.sub.05]
Parameters [h.sub.1] [h.sub.2] [h.sub.3]
P = 8,0 MPa A = 34mm/min 302 309 297
P = 7,0 MPa V = 68 rpm 302 306 302
P = 6,0 MPa 298 303 295
P = 5,5 MPa 309 303 295
A=34,0 mm/min P = 5,5 Mpa 315 309 309
A=30,0 mm/min V = 68 rpm 302 301 302
A=27,5 mm/min 302 309 303
A=25,0 mm/min 312 309 295
V = 82,0 rpm P = 5,5 Mpa 297 299 287
V = 76 rpm A = 34mm/min 301 309 303
V = 68 rpm 311 303 308
Micro hardness [HV.sub.05]
Parameters [h.sub.4] [h.sub.5]
P = 8,0 MPa A = 34mm/min 283 281
[Attached: records of crystals]
-- begin --
First-principles (GGA-PBE) data for a geometry-optimized YTe structure, as listed in Alexandria.

Summary:
density of states at the Fermi level = 15.95 states/eV/cell
total energy = -5.532 eV per atom
ρ = 3.6 g cm⁻³
total magnetic moment = 0.000 μB/f.u.

```
12
Lattice="8.449 0.000 0.000 0.000 8.449 0.000 0.000 0.000 8.449" Properties=species:S:1:pos:R:3 pbc="T T T"
Y 0.000 2.112 4.225
Y 0.000 6.337 4.225
Y 2.112 4.225 0.000
Y 4.225 0.000 2.112
Y 4.225 0.000 6.337
Y 6.337 4.225 0.000
Te 0.000 4.225 2.112
Te 0.000 4.225 6.337
Te 2.112 0.000 4.225
Te 4.225 2.112 0.000
Te 4.225 6.337 0.000
Te 6.337 0.000 4.225
```

First-principles (GGA-PBE) data for a geometry-optimized Dy6Si2BiSe3 structure, as listed in Alexandria.

Summary:
density of states at the Fermi level = 2.31 states/eV/cell
total energy = -5.703 eV per atom
ρ = 7.9 g cm⁻³
total magnetic moment = 0.000 μB/f.u.

```
12
Lattice="9.089 -2.085 0.000 9.089 2.085 0.000 -1.857 0.000 8.187" Properties=species:S:1:pos:R:3 pbc="T T T"
Dy -0.361 0.000 2.177
Dy 4.284 0.000 7.335
Dy 5.190 0.000 3.469
Dy 11.132 0.000 4.718
Dy 12.038 0.000 0.853
Dy 16.683 0.000 6.010
Si 2.422 0.000 2.754
Si 13.899 0.000 5.433
Bi 9.089 0.000 0.000
Se 1.430 0.000 6.831
Se 8.161 0.000 4.094
Se 14.891 0.000 1.356
```

First-principles (GGA-PBE) data for a geometry-optimized ZrMnFeSb structure, as listed in Alexandria.

Summary:
total energy = -7.727 eV per atom
ρ = 8.8 g cm⁻³
total magnetic moment = 0.000 μB/f.u.

```
16
Lattice="6.242 0.000 0.000 0.000 6.242 0.000 0.000 0.000 6.242" Properties=species:S:1:pos:R:3 pbc="T T T"
Zr 0.000 0.000 0.000
Zr 0.000 3.121 3.121
Zr 3.121 0.000 3.121
Zr 3.121 3.121 0.000
Mn 1.560 1.560 1.560
Mn 1.560 4.681 4.681
Mn 4.681 1.560 4.681
Mn 4.681 4.681 1.560
Fe 1.560 1.560 4.681
Fe 1.560 4.681 1.560
Fe 4.681 1.560 1.560
Fe 4.681 4.681 4.681
Sb 0.000 0.000 3.121
Sb 0.000 3.121 0.000
Sb 3.121 0.000 0.000
Sb 3.121 3.121 3.121
```

First-principles (GGA-PBE) data for a geometry-optimized GdHoAgRh structure, as listed in Alexandria.

Summary:
density of states at the Fermi level = 14.13 states/eV/cell
total energy = -7.769 eV per atom
energy of formation = -0.554 eV per atom
ρ = 10.0 g cm⁻³
total magnetic moment = 7.230 μB/f.u.

```
16
Lattice="7.075 0.000 0.000 0.000 7.075 0.000 0.000 0.000 7.075" Properties=species:S:1:pos:R:3 pbc="T T T"
Gd 0.000 0.000 0.000
Gd 0.000 3.538 3.538
Gd 3.538 0.000 3.538
Gd 3.538 3.538 0.000
Ho 0.000 0.000 3.538
Ho 0.000 3.538 0.000
Ho 3.538 0.000 0.000
Ho 3.538 3.538 3.538
Ag 1.769 1.769 5.307
Ag 1.769 5.307 1.769
Ag 5.307 1.769 1.769
Ag 5.307 5.307 5.307
Rh 1.769 1.769 1.769
Rh 1.769 5.307 5.307
Rh 5.307 1.769 5.307
Rh 5.307 5.307 1.769
```

~~~~~

Record 1
La2CrReP after structural relaxation, computed with PBE.

Cell: 5.6291 4.5460 5.6291 Å, 90.00 90.00 90.00°
Sites, in units of the cell vectors:
La 0.0000 0.0000 0.5000
La 0.5000 0.0000 0.0000
P 0.0000 0.5000 0.0000
Cr 0.5000 0.5000 0.5000
Re 0.0000 0.0000 0.0000

SG: P4/mmm (123)
-- stop --
P = 7,0 MPa V = 68 rpm 295 289
P = 6,0 MPa 378 246
P = 5,5 MPa 250 207
A=34,0 mm/min P = 5,5 Mpa 266 269
A=30,0 mm/min V = 68 rpm 301 286
A=27,5 mm/min 295 287
A=25,0 mm/min 287 265
V = 82,0 rpm P = 5,5 Mpa 280 260
V = 76 rpm A = 34mm/min 282 287
V = 68 rpm 289 265
Parameters Dependency relation
P = 8,0 MPa A = 34mm/min [HV.sub.0.5] = [315,4.e.sup.-0,046.h]
P = 7,0 MPa V = 68 rpm [HV.sub.0.5] = [310,1.e.sup.-0,025.h]
P = 6,0 MPa [HV.sub.0.5] = [281+45,4.h-23,7.h.sup.2]
P = 5,5 MPa [HV.sub.0.5] = 350 - 51,4.h
A=34,0 mm/min P = 5,5 Mpa [HV.sub.0.5] = 334,1 - 27.h
A=30,0 mm/min V = 68 rpm [HV.sub.0.5] = 308 - 6,4.hy
A=27,5 mm/min [HV.sub.0.5] = [312,7.e.sup.-0,03.h]
A=25,0 mm/min [HV.sub.0.5] = 328,4 - 23,2.h
V=82,0 rpm P = 5,5 Mpa [HV.sub.0.5] = 312,5 - 18,6.h
V =76 rpm A = 34mm/min [HV.sub.0.5] = 312,9 - 11.h
V=68 rpm [HV.sub.0.5] = 327 - 21,2.h
Tab. 2. Micro-hardness of the 6210-20 internal ring's bearing
Micro hardness [HV.sub.0.5]
Parameters [h.sub.1] [h.sub.2] [h.sub.3]
P = 4,5 MPa A=25mm/min 270 280 289
P = 4,0 MPa V=118 rpm 283 295 301
P = 3,5 MPa 274 289 289
P = 3,0 MPa 272 286 291
A=27,5 mm/min P = 4,0 Mpa 280 283 291
A=25,0 mm/min V = 118 rpm 271 281 287
A=22,5 mm/min 270 280 290
V=118 rpm P = 4,0 Mpa 272 298 302
V=98 rpm A = 25mm/min 285 306 294
V=84 rpm 285 291 290
Micro hardness
Parameters [h.sub.4] [h.sub.5]
P = 4,5 MPa A=25mm/min 291 281
P = 4,0 MPa V=118 rpm 301 294
P = 3,5 MPa 290 292
P = 3,0 MPa 281 263
A=27,5 mm/min P = 4,0 Mpa 289 268
A=25,0 mm/min V = 118 rpm 294 289
A=22,5 mm/min 291 286
V=118 rpm P = 4,0 Mpa 295 290
V=98 rpm A = 25mm/min 298 312
V=84 rpm 306 298
Parameters Dependency relation
P = 4,5 MPa A=25mm/min [HV.sub.0.5]=292 - 10,8/h
P = 4,0 MPa V=118 rpm [HV.sub.0.5]=304,6 - 10,3/h
P = 3,5 MPa [HV.sub.0.5]=296,7 - 10,8/h
P = 3,0 MPa [HV.sub.0.5]=246+63.h-[22,6.h.sup.2]
A=27,5 mm/min P = 4,0 Mpa [HV.sub.0.5]=258,6+46.h-16,[6.h.sup.2]
A=25,0 mm/min V=118 rpm [HV.sub.0.5]=296,2 - 12,9/h
A=22,5 mm/min [HV.sub.0.5]=294,7 - 12,45/h
V=118 rpm P = 4,0 Mpa [HV.sub.0.5]=304 - 14,2/h
V=98 rpm A=25mm/min [HV.sub.0.5]=309,65 - 11,7/h
V=84 rpm [HV.sub.0.5]=291,3 + 10,3ln(h)